Excerpt >
- - -
Entry w
This record from the Materials Project describes crystalline DyP5O14 at its relaxed geometry. The functional is PBE.

Structure (POSCAR):
```
DyP5O14
1.0
8.770 0.000 0.000
0.000 8.971 0.000
-0.135 0.000 13.019
Dy P O
4 20 56
Direct
0.222 0.186 0.002
0.222 0.314 0.502
0.778 0.686 0.498
0.778 0.814 0.998
0.009 0.507 0.703
0.009 0.993 0.203
0.185 0.743 0.500
0.185 0.757 0.000
0.254 0.545 0.163
0.254 0.955 0.663
0.276 0.549 0.838
0.276 0.951 0.338
0.492 0.003 0.827
0.492 0.497 0.327
0.508 0.503 0.673
0.508 0.997 0.173
0.724 0.049 0.662
0.724 0.451 0.162
0.746 0.045 0.337
0.746 0.455 0.837
0.815 0.243 0.000
0.815 0.257 0.500
0.991 0.007 0.797
0.991 0.493 0.297
0.029 0.689 0.993
0.029 0.811 0.493
0.086 0.120 0.852
0.086 0.380 0.352
0.088 0.569 0.206
0.088 0.931 0.706
0.090 0.115 0.149
0.090 0.385 0.649
0.131 0.600 0.774
0.131 0.900 0.274
0.211 0.580 0.498
0.211 0.920 0.998
0.270 0.099 0.387
0.270 0.401 0.887
0.277 0.693 0.100
0.277 0.807 0.600
0.281 0.095 0.606
0.281 0.405 0.106
0.297 0.685 0.914
0.297 0.815 0.414
0.363 0.581 0.257
0.363 0.919 0.757
0.413 0.115 0.124
0.413 0.385 0.624
0.414 0.583 0.765
0.414 0.917 0.265
0.418 0.123 0.888
0.418 0.377 0.388
0.582 0.623 0.612
0.582 0.877 0.112
0.586 0.083 0.735
0.586 0.417 0.235
0.587 0.615 0.376
0.587 0.885 0.876
0.637 0.081 0.243
0.637 0.419 0.743
0.703 0.185 0.586
0.703 0.315 0.086
0.719 0.595 0.894
0.719 0.905 0.394
0.723 0.193 0.400
0.723 0.307 0.900
0.730 0.599 0.113
0.730 0.901 0.613
0.789 0.080 0.002
0.789 0.420 0.502
0.869 0.100 0.726
0.869 0.400 0.226
0.910 0.615 0.351
0.910 0.885 0.851
0.912 0.069 0.294
0.912 0.431 0.794
0.914 0.620 0.648
0.914 0.880 0.148
0.971 0.189 0.507
0.971 0.311 0.007
```

Calculated values
crystal system = monoclinic

***

Entry x
This record from the Materials Project describes crystalline DyP5O14 at its relaxed geometry. The functional is PBE.

Structure (POSCAR):
```
DyP5O14
1.0
6.522 -6.467 0.000
6.522 6.467 0.000
-0.341 0.000 12.598
Dy P O
4 20 56
Direct
0.021 0.979 0.750
0.468 0.532 0.750
0.532 0.468 0.250
0.979 0.021 0.250
0.020 0.684 0.395
0.071 0.572 0.742
0.113 0.178 0.000
0.178 0.113 0.500
0.182 0.455 0.109
0.316 0.980 0.105
0.325 0.627 0.467
0.373 0.675 0.033
0.428 0.929 0.758
0.455 0.182 0.609
0.545 0.818 0.391
0.572 0.071 0.242
0.627 0.325 0.967
0.675 0.373 0.533
0.684 0.020 0.895
0.818 0.545 0.891
0.822 0.887 0.500
0.887 0.822 0.000
0.929 0.428 0.258
0.980 0.316 0.605
0.006 0.480 0.639
0.012 0.141 0.086
0.031 0.486 0.163
0.038 0.784 0.306
0.040 0.728 0.719
0.079 0.149 0.887
0.110 0.277 0.529
0.141 0.012 0.586
0.149 0.079 0.387
0.149 0.352 0.009
0.154 0.675 0.476
0.210 0.605 0.055
0.216 0.962 0.194
0.220 0.520 0.769
0.272 0.960 0.781
0.277 0.110 0.029
0.299 0.398 0.179
0.325 0.846 0.024
0.346 0.536 0.369
0.352 0.149 0.509
0.371 0.579 0.574
0.395 0.790 0.445
0.398 0.299 0.679
0.421 0.629 0.926
0.464 0.654 0.131
0.480 0.006 0.139
0.480 0.780 0.731
0.486 0.031 0.663
0.514 0.969 0.337
0.520 0.220 0.269
0.520 0.994 0.861
0.536 0.346 0.869
0.579 0.371 0.074
0.602 0.701 0.321
0.605 0.210 0.555
0.629 0.421 0.426
0.648 0.851 0.491
0.654 0.464 0.631
0.675 0.154 0.976
0.701 0.602 0.821
0.723 0.890 0.971
0.728 0.040 0.219
0.780 0.480 0.231
0.784 0.038 0.806
0.790 0.395 0.945
0.846 0.325 0.524
0.851 0.648 0.991
0.851 0.921 0.613
0.859 0.988 0.414
0.890 0.723 0.471
0.921 0.851 0.113
0.960 0.272 0.281
0.962 0.216 0.694
0.969 0.514 0.837
0.988 0.859 0.914
0.994 0.520 0.361
```

Calculated values
crystal system = monoclinic

***

Ranked by calculated energy, most stable first: entry x, entry w.
- - -
Work order >
Could you search the entries earlier on for the word "calculated" and reproduce each line that has it?
Solution >
Ranked by calculated energy, most stable first: entry x, entry w.